=====
# 1
{"formula": "Li2CrP2O7", "functional": "PBE with a Hubbard U", "state": "optimized geometry", "formation_energy_ev_per_fu": -31.27, "volume_a3_per_atom": 11.596, "spacegroup": "No. 14", "lattice": [[-2.741, 2.066, 3.765], [-7.186, -1.455, -4.433], [-6.788, -12.610, 1.978]], "species": ["Li", "Li", "Li", "Li", "Li", "Li", "Li", "Li", "O", "O", "O", "O", "O", "O", "O", "O", "O", "O", "O", "O", "O", "O", "O", "O", "O", "O", "O", "O", "O", "O", "O", "O", "O", "O", "O", "O", "P", "P", "P", "P", "P", "P", "P", "P", "Cr", "Cr", "Cr", "Cr"], "frac_coords": [[0.724, 0.500, 0.921], [0.276, 0.500, 0.079], [0.224, 0.500, 0.579], [0.776, 0.500, 0.421], [0.743, 0.936, 0.185], [0.257, 0.064, 0.815], [0.757, 0.936, 0.685], [0.243, 0.064, 0.315], [0.630, 0.283, 0.437], [0.395, 0.970, 0.612], [0.308, 0.658, 0.746], [0.130, 0.717, 0.063], [0.183, 0.493, 0.438], [0.945, 0.715, 0.847], [0.915, 0.180, 0.647], [0.808, 0.342, 0.754], [0.546, 0.832, 0.107], [0.192, 0.658, 0.246], [0.445, 0.285, 0.653], [0.605, 0.030, 0.388], [0.454, 0.168, 0.893], [0.895, 0.030, 0.888], [0.370, 0.717, 0.563], [0.692, 0.342, 0.254], [0.085, 0.820, 0.353], [0.046, 0.168, 0.393], [0.870, 0.283, 0.937], [0.954, 0.832, 0.607], [0.555, 0.715, 0.347], [0.055, 0.285, 0.153], [0.415, 0.820, 0.853], [0.105, 0.970, 0.112], [0.817, 0.507, 0.562], [0.317, 0.493, 0.938], [0.585, 0.180, 0.147], [0.683, 0.507, 0.062], [0.739, 0.323, 0.650], [0.251, 0.804, 0.124], [0.749, 0.196, 0.876], [0.761, 0.323, 0.150], [0.249, 0.804, 0.624], [0.261, 0.677, 0.350], [0.751, 0.196, 0.376], [0.239, 0.677, 0.850], [0.739, 0.778, 0.480], [0.239, 0.222, 0.020], [0.261, 0.222, 0.520], [0.761, 0.778, 0.980]]}

# 2
{"formula": "Sr2NiIrO6", "functional": "PBE with a Hubbard U", "state": "optimized geometry", "formation_energy_ev_per_fu": -20.83, "volume_a3_per_atom": 12.629, "spacegroup": "No. 87", "lattice": [[-2.804, 2.804, 4.015], [2.804, -2.804, 4.015], [2.804, 2.804, -4.015]], "species": ["Sr", "Sr", "Ni", "O", "O", "O", "O", "O", "O", "Ir"], "frac_coords": [[0.750, 0.250, 0.500], [0.250, 0.750, 0.500], [0.000, 0.000, 0.000], [0.256, 0.256, 0.000], [0.290, 0.777, 0.067], [0.777, 0.710, 0.488], [0.710, 0.223, 0.933], [0.223, 0.290, 0.512], [0.744, 0.744, 0.000], [0.500, 0.500, 0.000]]}
=====

Copy the whole of the contents further above unchanged.

# 1
{"formula": "Li2CrP2O7", "functional": "PBE with a Hubbard U", "state": "optimized geometry", "formation_energy_ev_per_fu": -31.27, "volume_a3_per_atom": 11.596, "spacegroup": "No. 14", "lattice": [[-2.741, 2.066, 3.765], [-7.186, -1.455, -4.433], [-6.788, -12.610, 1.978]], "species": ["Li", "Li", "Li", "Li", "Li", "Li", "Li", "Li", "O", "O", "O", "O", "O", "O", "O", "O", "O", "O", "O", "O", "O", "O", "O", "O", "O", "O", "O", "O", "O", "O", "O", "O", "O", "O", "O", "O", "P", "P", "P", "P", "P", "P", "P", "P", "Cr", "Cr", "Cr", "Cr"], "frac_coords": [[0.724, 0.500, 0.921], [0.276, 0.500, 0.079], [0.224, 0.500, 0.579], [0.776, 0.500, 0.421], [0.743, 0.936, 0.185], [0.257, 0.064, 0.815], [0.757, 0.936, 0.685], [0.243, 0.064, 0.315], [0.630, 0.283, 0.437], [0.395, 0.970, 0.612], [0.308, 0.658, 0.746], [0.130, 0.717, 0.063], [0.183, 0.493, 0.438], [0.945, 0.715, 0.847], [0.915, 0.180, 0.647], [0.808, 0.342, 0.754], [0.546, 0.832, 0.107], [0.192, 0.658, 0.246], [0.445, 0.285, 0.653], [0.605, 0.030, 0.388], [0.454, 0.168, 0.893], [0.895, 0.030, 0.888], [0.370, 0.717, 0.563], [0.692, 0.342, 0.254], [0.085, 0.820, 0.353], [0.046, 0.168, 0.393], [0.870, 0.283, 0.937], [0.954, 0.832, 0.607], [0.555, 0.715, 0.347], [0.055, 0.285, 0.153], [0.415, 0.820, 0.853], [0.105, 0.970, 0.112], [0.817, 0.507, 0.562], [0.317, 0.493, 0.938], [0.585, 0.180, 0.147], [0.683, 0.507, 0.062], [0.739, 0.323, 0.650], [0.251, 0.804, 0.124], [0.749, 0.196, 0.876], [0.761, 0.323, 0.150], [0.249, 0.804, 0.624], [0.261, 0.677, 0.350], [0.751, 0.196, 0.376], [0.239, 0.677, 0.850], [0.739, 0.778, 0.480], [0.239, 0.222, 0.020], [0.261, 0.222, 0.520], [0.761, 0.778, 0.980]]}

# 2
{"formula": "Sr2NiIrO6", "functional": "PBE with a Hubbard U", "state": "optimized geometry", "formation_energy_ev_per_fu": -20.83, "volume_a3_per_atom": 12.629, "spacegroup": "No. 87", "lattice": [[-2.804, 2.804, 4.015], [2.804, -2.804, 4.015], [2.804, 2.804, -4.015]], "species": ["Sr", "Sr", "Ni", "O", "O", "O", "O", "O", "O", "Ir"], "frac_coords": [[0.750, 0.250, 0.500], [0.250, 0.750, 0.500], [0.000, 0.000, 0.000], [0.256, 0.256, 0.000], [0.290, 0.777, 0.067], [0.777, 0.710, 0.488], [0.710, 0.223, 0.933], [0.223, 0.290, 0.512], [0.744, 0.744, 0.000], [0.500, 0.500, 0.000]]}